“Yeah I’d like to think of my self as a semi-professional tier Apex player, Aceu is only a bit better than me” REDDIT GAME TRANSLATION | 2021年10月4日 Apex Legends
I may be horrendously awful, but it’s still a 3v1 clutch REDDIT GAME TRANSLATION | 2021年10月4日 Apex Legends
Can respawn please fix this code:snake bug before my brother wakes up?? ✌😔 REDDIT GAME TRANSLATION | 2021年9月30日 Apex Legends
They HATE ME, right!? PULLING people of the map is still waaaaay too FUNNY! 😂 REDDIT GAME TRANSLATION | 2021年9月30日 Apex Legends
A friend from work saw I was having a bad day and left me a note. Made me laugh. Sorry Wattson mains. REDDIT GAME TRANSLATION | 2021年9月30日 Apex Legends
How am I supposed to rank up in Arenas with such low RP wins? REDDIT GAME TRANSLATION | 2021年9月27日 Apex Legends
Apparently respawn really thinks people want to pay $10 for their HoloSprays 😂😂 REDDIT GAME TRANSLATION | 2021年9月27日 Apex Legends
I think it’s time we seriously consider something like this REDDIT GAME TRANSLATION | 2021年9月19日 Apex Legends
Like seriously, if fart-men can’t be hurt by each other’s gas, then how the hell not can Wattsons pass each other’s fences without getting damaged? REDDIT GAME TRANSLATION | 2021年9月19日 Apex Legends
I think its safe to say this is the cycle for each big update REDDIT GAME TRANSLATION | 2021年9月19日 Apex Legends
I refuse to believe EA Support is real “Once you uninstall apex you lose all your progress” ????? REDDIT GAME TRANSLATION | 2021年9月19日 Apex Legends
RAMPART MAINS REJOICE!! (breaks doors as well) (pick me up mom I’m scared) REDDIT GAME TRANSLATION | 2021年9月15日 Apex Legends
My little Wraith main has moved on to Revenant… and added her little sister as her Pathfinder duo partner! ❤️Honestly glad she wanted a store bought this year, I teach now so I don’t have the time to make one this year 😳 REDDIT GAME TRANSLATION | 2021年9月15日 Apex Legends
Apex Legends Evolution Collection Event – Discussion & Support Megathread REDDIT GAME TRANSLATION | 2021年9月15日 Apex Legends
This is becoming a joke now, it’s been 10 seasons of the same thing over and over again. How can it break every single time? It’s not like we get active update every season, it’s like an update every 3 months yet somehow manage to constantly die each time. REDDIT GAME TRANSLATION | 2021年9月15日 Apex Legends
_Misplaced calculated crystals_
- - -
Record 1
Density functional theory data (PBE-GGA) for an optimized crystal structure of Ba5P3O12F.

Unit cell a=10.315 b=10.315 c=7.838 alpha=90.00 beta=90.00 gamma=120.00
Atoms (fractional coordinates):
Ba (0.018, 0.760, 0.000)
Ba (0.240, 0.259, 0.000)
Ba (0.259, 0.018, 0.500)
Ba (0.333, 0.667, 0.251)
Ba (0.333, 0.667, 0.749)
Ba (0.667, 0.333, 0.249)
Ba (0.667, 0.333, 0.751)
Ba (0.741, 0.982, 0.000)
Ba (0.760, 0.741, 0.500)
Ba (0.982, 0.240, 0.500)
P (0.032, 0.631, 0.500)
P (0.369, 0.402, 0.500)
P (0.402, 0.032, 0.000)
P (0.598, 0.968, 0.500)
P (0.631, 0.598, 0.000)
P (0.968, 0.369, 0.000)
O (0.079, 0.732, 0.338)
O (0.079, 0.732, 0.661)
O (0.118, 0.541, 0.500)
O (0.140, 0.481, 0.000)
O (0.268, 0.346, 0.661)
O (0.268, 0.347, 0.338)
O (0.341, 0.860, 0.000)
O (0.346, 0.079, 0.161)
O (0.347, 0.079, 0.838)
O (0.423, 0.882, 0.500)
O (0.459, 0.577, 0.500)
O (0.481, 0.341, 0.500)
O (0.519, 0.659, 0.000)
O (0.541, 0.423, 0.000)
O (0.577, 0.118, 0.000)
O (0.653, 0.921, 0.338)
O (0.654, 0.921, 0.661)
O (0.659, 0.140, 0.500)
O (0.732, 0.653, 0.838)
O (0.732, 0.654, 0.161)
O (0.860, 0.519, 0.500)
O (0.882, 0.459, 0.000)
O (0.921, 0.268, 0.161)
O (0.921, 0.268, 0.838)
F (0.000, 0.000, 0.469)
F (0.000, 0.000, 0.969)

Results
The total energy comes out at -7.119 eV/atom. For the formation energy, the calculation gives -3.38 eV/atom. As for the space group: P6_3, No. 173.

---

Record 2
Density functional theory data (PBE-GGA) for an optimized crystal structure of SmI3O10.

Unit cell a=7.466 b=6.686 c=10.145 alpha=90.00 beta=110.23 gamma=90.00
Atoms (fractional coordinates):
Sm (0.235, 0.000, 0.311)
Sm (0.765, 0.500, 0.689)
I (0.106, 0.128, 0.918)
I (0.168, 0.526, 0.539)
I (0.468, 0.474, 0.276)
I (0.532, 0.974, 0.724)
I (0.832, 0.026, 0.461)
I (0.894, 0.628, 0.082)
O (0.036, 0.394, 0.890)
O (0.045, 0.640, 0.649)
O (0.098, 0.717, 0.401)
O (0.253, 0.158, 0.104)
O (0.277, 0.835, 0.912)
O (0.295, 0.360, 0.349)
O (0.298, 0.140, 0.840)
O (0.345, 0.712, 0.223)
O (0.348, 0.052, 0.561)
O (0.414, 0.598, 0.640)
O (0.586, 0.098, 0.360)
O (0.652, 0.552, 0.439)
O (0.655, 0.212, 0.777)
O (0.702, 0.640, 0.160)
O (0.705, 0.860, 0.651)
O (0.723, 0.335, 0.088)
O (0.747, 0.658, 0.896)
O (0.902, 0.217, 0.599)
O (0.955, 0.140, 0.351)
O (0.964, 0.894, 0.110)

Results
The total energy comes out at -4.951 eV/atom. For the formation energy, the calculation gives -1.24 eV/atom. As for the space group: P2_1, No. 4.

---

Record 3
Density functional theory data (PBE-GGA) for an optimized crystal structure of MnCd4S5.

Unit cell a=12.933 b=12.933 c=9.865 alpha=104.80 beta=104.80 gamma=18.57
Atoms (fractional coordinates):
Mn (0.000, 0.000, 0.000)
Mn (0.200, 0.200, 0.601)
Cd (0.166, 0.166, 0.169)
Cd (0.368, 0.368, 0.771)
Cd (0.402, 0.402, 0.196)
Cd (0.569, 0.569, 0.367)
Cd (0.600, 0.600, 0.797)
Cd (0.767, 0.767, 0.963)
Cd (0.799, 0.799, 0.401)
Cd (0.968, 0.968, 0.570)
S (0.042, 0.042, 0.805)
S (0.072, 0.072, 0.217)
S (0.240, 0.240, 0.404)
S (0.273, 0.273, 0.816)
S (0.448, 0.448, 0.994)
- - -
how ramparts heirloom is actually going to look like REDDIT GAME TRANSLATION | 2021年9月12日 Apex Legends
I’m probably the last to know, but since when is there this tunnel on Kings Canyon? REDDIT GAME TRANSLATION | 2021年9月12日 Apex Legends
Apex Legends Evolution Collection Event – Patch Notes REDDIT GAME TRANSLATION | 2021年9月12日 Apex Legends
The Aim Drift Bonus for the Sentinel with all stocks REDDIT GAME TRANSLATION | 2021年9月8日 Apex Legends
Haven’t seen an invisible wall like this since FIFA 96 REDDIT GAME TRANSLATION | 2021年9月8日 Apex Legends
Almost 600 points a day required to earn all the rewards, is this the grindiest flash event yet? REDDIT GAME TRANSLATION | 2021年9月8日 Apex Legends